== Entries ==
<<<
Computed, not measured: a 3-piece molecular cluster, C47H52BFN3O8 overall in a non-equilibrium geometry, with the ωB97M-V functional and the def2-TZVPD basis.

```
112
Properties=species:S:1:pos:R:3:forces:R:3
C 2.1178 -2.0576 3.6481 0.563 1.227 1.088
C 1.6259 -0.5055 3.6819 -0.507 -1.990 -0.783
C 0.0311 -0.5518 3.9028 0.510 0.039 0.834
C -0.7156 0.8797 3.8570 1.889 -0.282 0.109
C 0.4576 2.0178 3.8305 -1.951 1.198 -0.099
C -1.6018 1.1557 2.5660 2.698 2.387 -0.414
C -0.8797 0.8147 1.1794 -0.756 -1.720 0.844
C -0.6413 1.9613 0.0843 0.333 -0.553 0.188
C 0.8175 1.6746 -0.5569 3.078 3.545 0.240
O 1.7455 2.4987 -0.3517 -5.272 -3.721 -0.865
O 1.1134 0.5543 -1.3915 -0.833 -0.727 2.091
C 1.8309 -0.4657 -0.6905 3.696 -0.882 2.795
C 1.4437 -2.0339 -0.7606 -0.255 0.062 -1.065
O 2.8275 -0.1925 0.0261 -4.042 -0.336 -2.668
C -1.7759 -0.5063 0.7648 2.078 0.681 -1.961
N -1.6017 -0.5481 -0.7035 -0.926 -0.859 0.619
C -3.2870 -0.4574 1.4093 1.043 0.138 -0.728
C -4.3669 0.1962 0.4207 -0.320 0.315 -0.819
C -5.1080 -0.7880 -0.5802 -0.116 -1.044 -1.218
N -4.6273 -1.8526 -1.1702 -0.492 2.821 2.019
B -3.6875 -1.9350 2.0592 -1.336 -1.691 1.141
C -2.5845 -2.9157 2.7865 -0.534 -0.695 -0.780
O -5.0283 -2.4543 2.0815 2.286 2.182 -0.003
N -3.0226 0.6423 2.4515 -1.294 1.256 0.257
C -3.7240 0.6102 3.7734 -0.731 0.940 2.413
C -5.3201 0.7546 3.7275 -0.373 -0.493 1.215
C -5.8750 0.1752 5.1462 0.483 -0.417 -0.940
F -7.2463 -0.2146 4.9823 2.026 0.901 0.352
H 2.0281 -2.4400 4.7326 -0.042 0.222 -1.798
H 1.5260 -2.6997 2.9183 0.874 0.825 0.954
H 3.2406 -2.0362 3.4223 -1.676 -0.334 0.042
H 2.2074 -0.0124 4.5250 -0.928 -0.331 -1.300
H 1.8537 -0.0762 2.6466 -0.063 -0.264 1.610
H -0.1226 -0.9786 4.9672 0.073 0.448 -1.758
H -0.3796 -1.3042 3.1528 0.407 1.018 1.021
H -1.2295 1.0240 4.8635 0.190 -0.086 -1.605
H 1.0177 2.0502 2.8387 -0.488 -0.262 1.531
H -0.1193 3.0213 3.8923 1.049 -1.352 -0.051
H 1.1197 1.9876 4.7531 -0.770 -0.226 -1.453
H -1.7038 2.2994 2.5397 -0.217 -1.494 0.341
H 0.1701 0.3711 1.3268 -1.672 0.672 0.381
H -0.5464 2.9629 0.6192 0.111 -1.304 -0.813
H -1.4580 2.0665 -0.7019 1.162 -0.301 0.926
H 2.2396 -2.6816 -0.2388 -1.076 1.558 -0.758
H 1.3713 -2.4032 -1.8508 -0.059 0.699 1.652
H 0.4429 -2.2628 -0.2655 1.241 0.558 -0.706
H -1.0777 -1.3399 1.1212 -1.809 0.817 -0.018
H -2.2012 0.0958 -1.2274 0.305 -0.620 0.176
H -1.5920 -1.4957 -1.0997 -0.192 0.722 0.047
H -3.8430 1.0021 -0.2282 -0.739 -1.186 0.925
H -5.2015 0.7873 0.9632 1.423 -1.078 -0.516
H -6.1897 -0.5110 -0.8761 1.758 -0.236 0.643
H -3.6579 -1.9492 -0.8265 -0.218 -0.315 -0.340
H -3.0690 -3.9233 3.0762 0.592 1.721 -0.397
H -1.7680 -3.1987 2.0188 -0.888 0.586 1.481
H -2.1646 -2.4502 3.7379 -0.224 -0.587 -1.357
H -5.6956 -1.7611 1.8960 0.344 -0.748 -0.215
H -3.4688 1.4738 2.0030 0.277 -0.819 0.326
H -3.3637 1.5580 4.3334 -0.434 -1.534 -0.971
H -3.3879 -0.2492 4.4689 -0.433 1.020 -1.673
H -5.8428 0.1366 2.9299 0.804 0.860 0.951
H -5.6414 1.8573 3.6728 0.562 -1.689 -0.286
H -5.7319 0.9568 5.9614 -0.630 -1.106 -0.958
H -5.2814 -0.7750 5.4036 -1.031 1.347 -0.272
C 8.1738 9.6691 -0.2705 -0.115 -0.160 0.010
C 8.3601 9.5299 -1.6441 -0.134 -0.166 -0.003
C 7.7309 8.4978 -2.3313 0.141 0.205 0.040
C 6.9217 7.5932 -1.6436 0.216 0.282 0.113
C 6.7548 7.7182 -0.2641 0.211 0.280 -0.079
C 7.3737 8.7656 0.4197 0.150 0.171 -0.062
C 5.9386 6.7359 0.4855 -0.087 0.119 0.894
O 5.7890 6.8464 1.6907 0.013 -0.035 -0.287
C 5.3143 5.6128 -0.2498 -0.195 -0.277 -0.082
C 4.5899 4.6468 0.4507 -0.083 -0.212 -0.207
C 3.9882 3.5951 -0.2329 0.852 0.474 0.328
C 4.1003 3.5094 -1.6188 0.195 0.242 -0.034
C 4.8256 4.4662 -2.3197 -0.162 -0.237 0.091
C 5.4424 5.5151 -1.6350 -0.196 -0.252 0.101
C 6.2417 6.5083 -2.3869 0.095 -0.066 -0.975
O 6.3437 6.4314 -3.5995 -0.036 0.016 0.331
H 8.6580 10.4803 0.2635 -0.055 -0.091 -0.047
H 8.9949 10.2281 -2.1799 -0.075 -0.075 0.046
H 7.8756 8.3975 -3.4022 -0.137 -0.114 0.146
H 7.2368 8.8760 1.4905 -0.066 -0.162 -0.142
H 4.4961 4.7094 1.5302 0.123 0.141 -0.145
H 3.4357 2.8482 0.3123 0.641 0.209 0.030
>>>

== To do ==
Please quote only the last part of the rows further above, starting with the line that has "-0.727 2.091".

== Reply ==
O 1.1134 0.5543 -1.3915 -0.833 -0.727 2.091
C 1.8309 -0.4657 -0.6905 3.696 -0.882 2.795
C 1.4437 -2.0339 -0.7606 -0.255 0.062 -1.065
O 2.8275 -0.1925 0.0261 -4.042 -0.336 -2.668
C -1.7759 -0.5063 0.7648 2.078 0.681 -1.961
N -1.6017 -0.5481 -0.7035 -0.926 -0.859 0.619
C -3.2870 -0.4574 1.4093 1.043 0.138 -0.728
C -4.3669 0.1962 0.4207 -0.320 0.315 -0.819
C -5.1080 -0.7880 -0.5802 -0.116 -1.044 -1.218
N -4.6273 -1.8526 -1.1702 -0.492 2.821 2.019
B -3.6875 -1.9350 2.0592 -1.336 -1.691 1.141
C -2.5845 -2.9157 2.7865 -0.534 -0.695 -0.780
O -5.0283 -2.4543 2.0815 2.286 2.182 -0.003
N -3.0226 0.6423 2.4515 -1.294 1.256 0.257
C -3.7240 0.6102 3.7734 -0.731 0.940 2.413
C -5.3201 0.7546 3.7275 -0.373 -0.493 1.215
C -5.8750 0.1752 5.1462 0.483 -0.417 -0.940
F -7.2463 -0.2146 4.9823 2.026 0.901 0.352
H 2.0281 -2.4400 4.7326 -0.042 0.222 -1.798
H 1.5260 -2.6997 2.9183 0.874 0.825 0.954
H 3.2406 -2.0362 3.4223 -1.676 -0.334 0.042
H 2.2074 -0.0124 4.5250 -0.928 -0.331 -1.300
H 1.8537 -0.0762 2.6466 -0.063 -0.264 1.610
H -0.1226 -0.9786 4.9672 0.073 0.448 -1.758
H -0.3796 -1.3042 3.1528 0.407 1.018 1.021
H -1.2295 1.0240 4.8635 0.190 -0.086 -1.605
H 1.0177 2.0502 2.8387 -0.488 -0.262 1.531
H -0.1193 3.0213 3.8923 1.049 -1.352 -0.051
H 1.1197 1.9876 4.7531 -0.770 -0.226 -1.453
H -1.7038 2.2994 2.5397 -0.217 -1.494 0.341
H 0.1701 0.3711 1.3268 -1.672 0.672 0.381
H -0.5464 2.9629 0.6192 0.111 -1.304 -0.813
H -1.4580 2.0665 -0.7019 1.162 -0.301 0.926
H 2.2396 -2.6816 -0.2388 -1.076 1.558 -0.758
H 1.3713 -2.4032 -1.8508 -0.059 0.699 1.652
H 0.4429 -2.2628 -0.2655 1.241 0.558 -0.706
H -1.0777 -1.3399 1.1212 -1.809 0.817 -0.018
H -2.2012 0.0958 -1.2274 0.305 -0.620 0.176
H -1.5920 -1.4957 -1.0997 -0.192 0.722 0.047
H -3.8430 1.0021 -0.2282 -0.739 -1.186 0.925
H -5.2015 0.7873 0.9632 1.423 -1.078 -0.516
H -6.1897 -0.5110 -0.8761 1.758 -0.236 0.643
H -3.6579 -1.9492 -0.8265 -0.218 -0.315 -0.340
H -3.0690 -3.9233 3.0762 0.592 1.721 -0.397
H -1.7680 -3.1987 2.0188 -0.888 0.586 1.481
H -2.1646 -2.4502 3.7379 -0.224 -0.587 -1.357
H -5.6956 -1.7611 1.8960 0.344 -0.748 -0.215
H -3.4688 1.4738 2.0030 0.277 -0.819 0.326
H -3.3637 1.5580 4.3334 -0.434 -1.534 -0.971
H -3.3879 -0.2492 4.4689 -0.433 1.020 -1.673
H -5.8428 0.1366 2.9299 0.804 0.860 0.951
H -5.6414 1.8573 3.6728 0.562 -1.689 -0.286
H -5.7319 0.9568 5.9614 -0.630 -1.106 -0.958
H -5.2814 -0.7750 5.4036 -1.031 1.347 -0.272
C 8.1738 9.6691 -0.2705 -0.115 -0.160 0.010
C 8.3601 9.5299 -1.6441 -0.134 -0.166 -0.003
C 7.7309 8.4978 -2.3313 0.141 0.205 0.040
C 6.9217 7.5932 -1.6436 0.216 0.282 0.113
C 6.7548 7.7182 -0.2641 0.211 0.280 -0.079
C 7.3737 8.7656 0.4197 0.150 0.171 -0.062
C 5.9386 6.7359 0.4855 -0.087 0.119 0.894
O 5.7890 6.8464 1.6907 0.013 -0.035 -0.287
C 5.3143 5.6128 -0.2498 -0.195 -0.277 -0.082
C 4.5899 4.6468 0.4507 -0.083 -0.212 -0.207
C 3.9882 3.5951 -0.2329 0.852 0.474 0.328
C 4.1003 3.5094 -1.6188 0.195 0.242 -0.034
C 4.8256 4.4662 -2.3197 -0.162 -0.237 0.091
C 5.4424 5.5151 -1.6350 -0.196 -0.252 0.101
C 6.2417 6.5083 -2.3869 0.095 -0.066 -0.975
O 6.3437 6.4314 -3.5995 -0.036 0.016 0.331
H 8.6580 10.4803 0.2635 -0.055 -0.091 -0.047
H 8.9949 10.2281 -2.1799 -0.075 -0.075 0.046
H 7.8756 8.3975 -3.4022 -0.137 -0.114 0.146
H 7.2368 8.8760 1.4905 -0.066 -0.162 -0.142
H 4.4961 4.7094 1.5302 0.123 0.141 -0.145
H 3.4357 2.8482 0.3123 0.641 0.209 0.030